The fold function captures a common recursion pattern
(define (fold kons knil list) ;; Uncurried version
(if (null? list)
(kons (car list) (fold kons knil (cdr list)))))
so it can define a lot of common list functions easily:
(define (append x y) (fold cons y x))
(define (map f l) (fold (lambda (x xs) (cons (f x) xs)) '() l))
(define (reverse x) ((fold (lambda (x y) (lambda (z) (y (cons x z))))
(lambda (i) i)
x) '()))
Add a fold function to the relational interpreter:
((fresh (kons knil ls v3 r)
(== `(fold ,kons ,knil ,ls) expr)
(unboundo 'fold env)
(These materials data were left in the entry by mistake)
- - -
1.
The following is a SCAN calculation of BeB2Se at its PBEsol-relaxed geometry, from the Alexandria database.

```
data_BeB2Se
_symmetry_space_group_name_H-M 'I -4 2 d'
_symmetry_Int_Tables_number 122
_symmetry_space_group_name_Hall 'I -4 2bw'
_cell_length_a 4.769
_cell_length_b 4.769
_cell_length_c 8.578
_cell_angle_alpha 90.00
_cell_angle_beta 90.00
_cell_angle_gamma 90.00
loop_
_atom_site_label
_atom_site_type_symbol
_atom_site_fract_x
_atom_site_fract_y
_atom_site_fract_z
Be1 Be 0.000 0.000 0.000
B1 B 0.235 0.750 0.125
Se1 Se 0.000 0.000 0.500
```

Results
- Raw formation energy: 0.798 eV/atom
- Calculated volume: 195.1 Å³/cell
- Total moment: 0.00 μB per cell


2.
The following is a SCAN calculation of BeBSe2 at its PBEsol-relaxed geometry, from the Alexandria database.

```
data_BeBSe2
_symmetry_space_group_name_H-M 'I -4 2 d'
_symmetry_Int_Tables_number 122
_symmetry_space_group_name_Hall 'I -4 2bw'
_cell_length_a 4.975
_cell_length_b 4.975
_cell_length_c 10.034
_cell_angle_alpha 90.00
_cell_angle_beta 90.00
_cell_angle_gamma 90.00
loop_
_atom_site_label
_atom_site_type_symbol
_atom_site_fract_x
_atom_site_fract_y
_atom_site_fract_z
Be1 Be 0.000 0.000 0.000
B1 B 0.000 0.000 0.500
Se1 Se 0.234 0.250 0.625
```

Results
- Raw formation energy: 0.072 eV/atom
- ΔE to the lowest computed polymorph: 0 meV per atom
- Calculated volume: 248.4 Å³/cell
- Total moment: 0.00 μB per cell


3.
The following is a SCAN calculation of BeBSe2 at its PBEsol-relaxed geometry, from the Alexandria database.

```
data_BeBSe2
_symmetry_space_group_name_H-M 'F m -3 m'
_symmetry_Int_Tables_number 225
_symmetry_space_group_name_Hall '-F 4 2 3'
_cell_length_a 6.058
_cell_length_b 6.058
_cell_length_c 6.058
_cell_angle_alpha 90.00
_cell_angle_beta 90.00
_cell_angle_gamma 90.00
loop_
_atom_site_label
_atom_site_type_symbol
_atom_site_fract_x
_atom_site_fract_y
_atom_site_fract_z
Be1 Be 0.000 0.000 0.000
B1 B 0.000 0.000 0.500
Se1 Se 0.250 0.250 0.250
```

Results
- Raw formation energy: 1.204 eV/atom
- ΔE to the lowest computed polymorph: 1132 meV per atom
- Calculated volume: 222.3 Å³/cell
- Total moment: 0.00 μB per cell


4.
The following is a SCAN calculation of BeB2Te at its PBEsol-relaxed geometry, from the Alexandria database.

```
data_BeB2Te
_symmetry_space_group_name_H-M 'F m -3 m'
_symmetry_Int_Tables_number 225
_symmetry_space_group_name_Hall '-F 4 2 3'
_cell_length_a 5.815
_cell_length_b 5.815
_cell_length_c 5.815
_cell_angle_alpha 90.00
_cell_angle_beta 90.00
_cell_angle_gamma 90.00
loop_
_atom_site_label
_atom_site_type_symbol
_atom_site_fract_x
_atom_site_fract_y
_atom_site_fract_z
Be1 Be 0.000 0.000 0.000
B1 B 0.250 0.250 0.250
Te1 Te 0.000 0.000 0.500
```

Results
- Raw formation energy: 1.760 eV/atom
- Calculated volume: 196.7 Å³/cell
- Total moment: 0.00 μB per cell


The records above give, respectively, total energy values of -0.663 -0.949 -0.866 -0.908 Ry per atom.

----------

Record 1
- - -
(eval-expo ls env v3)
(make-foldo kons knil v3 r)
(eval-expo r env out)))
along with a helper relation to build a fold expression up:
(define (make-foldo kons knil ls res)
((== ls '()) (== res knil))
((fresh (u v m)
(== ls `(,u . ,v))
(== res `((,kons ',u) ,m))
(make-foldo kons knil v m)))))
Make relations to help run test queries:
(define (testo rec base input output)
(eval-expo `(fold ,rec ,base ',input) '() output))
(define (testo-app-nil rec base input output)
(fresh (t1 t2)
;; eta expanded template to help things along a little
(== base `(lambda (x) ,t1))
(== rec `(lambda (x) (lambda (y) (lambda (z) ,t2))))
(eval-expo `((fold ,rec ,base ',input) '()) '() output)))
and then we can derive some simple recursive functions as folds using tests!
(define (synth-appendo f)
(fresh (rec base)
(== f `(lambda (input) (fold ,rec ,base input)))
(testo rec base '(a b c) '(a b c u v))
(testo rec base '(x y) '(x y u v))
(testo rec base '() '(u v))))
;; => Yes. (361.12ms)
;; f: (lambda (input)
;; (fold (lambda (_.0)
;; (lambda (_.1)
;; (cons _.0 _.1)))
;; (quote (u v))
;; input))
(define (synth-map f)
(fresh (rec base)
(== f `(lambda (input) (fold ,rec ,base input)))
(testo rec base '() '())
(testo rec base '(x) '((f . x)))
(testo rec base '(y) '((f . y)))
(testo rec base '(u v w) '((f . u) (f . v) (f . w)))))
;; => Yes. (2284.32ms)
;; f: (lambda (input)
;; (fold (lambda (_.0)
;; (lambda (_.1)
;; (cons (cons (quote f) _.0) _.1)))
;; (quote ())
;; input))
(define (synth-reverse f)
(fresh (rec base)
Misplaced records of crystals:
┌──
This record from the Alexandria database describes a relaxed structure of PrHo2Os. The functional is PBE.

Output
- Magnetization: 0.00 Bohr magnetons per cell
- Raw total energy: -103.86 eV for the cell shown
- E above lowest polymorph: 0 meV per atom
- Formation enthalpy at 0 K: -77 kJ/mol of formula units
- Fermi-level density of states: 0.896 states/eV per atom

Unit cell a=6.437 b=7.482 c=9.110 alpha=90.00 beta=90.00 gamma=90.00
Positions (direct):
Ho 0.163 0.674 0.435
Ho 0.163 0.674 0.065
Ho 0.663 0.826 0.935
Ho 0.837 0.326 0.935
Ho 0.337 0.174 0.065
Ho 0.837 0.326 0.565
Ho 0.337 0.174 0.435
Ho 0.663 0.826 0.565
Os 0.055 0.384 0.250
Os 0.555 0.116 0.750
Os 0.945 0.616 0.750
Os 0.445 0.884 0.250
Pr 0.129 0.960 0.750
Pr 0.871 0.040 0.250
Pr 0.629 0.540 0.250
Pr 0.371 0.460 0.750

* * * * *

Entry 1:
This record from Alexandria via LeMat-Bulk describes SbMoOs2 at its PBEsol-relaxed geometry. The functional is SCAN.

Unit cell a=2.8942 b=4.7433 c=4.8639 alpha=97.67 beta=107.31 gamma=90.00
Last column: nearest neighbours and their distance in Å.
Fractional coordinates of all 4 atoms:
Mo 0.0000 0.5000 0.0000  6 Os 2.74-2.80, 4 Sb 2.78, 2 Mo 2.89
Os 0.2617 0.2696 0.5234  6 Os 2.66-2.92, 3 Sb 2.71-2.96, 3 Mo 2.74-2.80
Sb 0.5000 0.0000 0.0000  6 Os 2.71-2.96, 4 Mo 2.78, 2 Sb 2.89
Os 0.7383 0.7304 0.4766  6 Os 2.66-2.92, 3 Sb 2.71-2.96, 3 Mo 2.74-2.80

Values from the calculation:
Uncorrected formation energy in kJ/mol of atoms: 44.6
Calculated total energy in eV per atom: -53.51
Symmetry: C2/m, No. 12

---

Entry 2:
This record from Alexandria via LeMat-Bulk describes BeCuSe2 at its PBEsol-relaxed geometry. The functional is SCAN.

Unit cell a=3.3154 b=3.3154 c=6.2587 alpha=90.00 beta=90.00 gamma=90.00
Last column: nearest neighbours and their distance in Å.
Fractional coordinates of all 4 atoms:
Cu 0.5000 0.5000 0.7540  5 Se 2.40-2.45
Se 0.5000 0.5000 0.3703  1 Cu 2.40, 4 Be 2.49
Se 0.0000 0.0000 0.8704  1 Be 2.29, 4 Cu 2.45
Be 0.0000 0.0000 0.5053  5 Se 2.29-2.49

Values from the calculation:
Uncorrected formation energy in kJ/mol of atoms: -16.0
Calculated total energy in eV per atom: -15.09
Symmetry: P4mm, No. 99

---

Entry 3:
This record from Alexandria via LeMat-Bulk describes RbLa2YHf at its PBEsol-relaxed geometry. The functional is SCAN.

Unit cell a=5.3407 b=5.4898 c=5.4898 alpha=90.00 beta=90.00 gamma=90.00
Last column: nearest neighbours and their distance in Å.
Fractional coordinates of all 5 atoms:
Hf 0.5000 0.5000 0.5000  8 La 3.83, 4 Y 3.88
La 0.0000 0.5000 0.0000  2 Rb 2.74
Rb 0.0000 0.0000 0.0000  2 Y 2.67, 4 La 2.74
La 0.0000 0.0000 0.5000  2 Rb 2.74
Y 0.5000 0.0000 0.0000  2 Rb 2.67

Values from the calculation:
Energy of formation from the pure elements in eV per atom: 1.42
Calculated total energy in eV per atom: -38.08
Symmetry: P4/mmm, No. 123

---

Entry 4:
This record from Alexandria via LeMat-Bulk describes BaSn3Br at its PBEsol-relaxed geometry. The functional is SCAN.
└──
Back to the text:
(== f `(lambda (input) ((fold ,rec ,base input) '())))
(testo-app-nil rec base '() '())
(testo-app-nil rec base '(a) '(a))
(testo-app-nil rec base '(b) '(b))
(testo-app-nil rec base '(x y) '(y x))
(testo-app-nil rec base '(d e l i v e r) '(r e v i l e d))))
;; => Yes. (1277.19ms)
;; f: (lambda (input)
;; ((fold (lambda (x)
;; (lambda (y)
;; (lambda (z) (y (cons x z)))))
;; (lambda (x) x)
;; input)
;; (quote ())))
To derive the real append (rather than a specialized version):
(define (synth-appendo f)
(fresh (rec base)
(== f `(lambda (a)
(lambda (b)
(fold ,rec ,base a))))
(eval-expo `((,f '(a b c)) '(u v)) '() '(a b c u v))
(eval-expo `((,f '(x y)) '(z)) '() '(x y z))
(eval-expo `((,f '()) '(o k !)) '() '(o k !))))
;; => Yes. (461.12ms)
;; f: (lambda (a) (lambda (b) (fold (lambda (_.0) (lambda (_.1) (cons _.0 _.1))) b a)))